Monday, February 11, 2013

Brand Identity - Blog Post 3

 Brand Identity is the essence of what your company stands for in the marketplace and with employees as well. - Cono Fusco.

Types of Logos - Blog Post 2

There are several types of logos.

The most common type of logo. Usually a shape or a image that may or may not be a recognizable object but does not directly represent the company or product. A few examples of this are the Nike Swoosh or the Pepsi globe.
 A simple yet elegant curve that suggests wind or speed or even a shoe. I think of Hermes the Messenger god from Greek Mythology withe the winged sandals. Nike doesn't sell wind or speed but the swoosh suggests that with the product you will be really good at sports or like to spend a lot on brand name clothing.

Not widely used by big corporations but common for more local businesses like plumbers or construction. One of the most famous examples is the Burger King logo which is shaped like a burger.

Sports teams use a lot of representational logos. St. Louis Cardinals use a cardinal, the Tigers use a tigers, the rams a ram, the Eagles an eagle. 

Sports teams also used font based logos. The New York Giants as well as the New York Yankees use the stylistic NY which has become a symbol not just for the baseball team but for New York or New Yorkers themselves.


Iconic or symbolic logos are often an image that like the abstract doesn't necessarily represent the product but symbolizes how people think of the product, brand, or company. 

The apple logo that we are familiar with is an example of iconic/symbolic. When you see it you think "apple".  Apple sells computers not apples but it also symbolizes the gift of knowledge.

== Misplaced crystal structures ==
'''
Record 1
Theoretical X-ray diffraction stick pattern of Al3Ag5 for CuKα, from the GGA-PBE geometry in Alexandria.
Intensities are scaled so that the largest is 100.

Crystal structure
```
data_Al3Ag5
_chemical_formula_sum 'Al6 Ag10'
_cell_length_a 4.654
_cell_length_b 4.940
_cell_length_c 12.018
_cell_angle_alpha 90.00
_cell_angle_beta 90.00
_cell_angle_gamma 90.00
_symmetry_space_group_name_H-M 'I m m m'
_symmetry_Int_Tables_number 71
_symmetry_space_group_name_Hall '-I 2 2'
loop_
_atom_site_label
_atom_site_type_symbol
_atom_site_fract_x
_atom_site_fract_y
_atom_site_fract_z
Al1 Al 0.000 0.000 0.000
Al2 Al 0.000 0.500 0.128
Ag1 Ag 0.000 0.000 0.251
Ag2 Ag 0.000 0.000 0.500
Ag3 Ag 0.000 0.500 0.379
```

Principal peaks in the range 10° ≤ 2θ ≤ 90°, most intense first:
40.12 deg, 2.248 Å, I 100, hkl 1 1 4; 36.38 deg, 2.470 Å, I 33, hkl 0 2 0; 20.46 deg, 4.340 Å, I 31, hkl 1 0 1; 38.69 deg, 2.327 Å, I 28, hkl 2 0 0; 54.15 deg, 1.694 Å, I 20, hkl 2 2 0; 67.97 deg, 1.379 Å, I 20, hkl 1 3 4


Record 2
Theoretical X-ray diffraction stick pattern of CePm4Se5 for CuKα, from the GGA-PBE geometry in Alexandria.
Intensities are scaled so that the largest is 100.

Crystal structure
```
data_CePm4Se5
_chemical_formula_sum 'Ce3 Pm12 Se15'
_cell_length_a 4.1929
_cell_length_b 4.1929
_cell_length_c 51.5176
_cell_angle_alpha 90.00
_cell_angle_beta 90.00
_cell_angle_gamma 120.00
_symmetry_space_group_name_H-M 'R -3 m'
_symmetry_Int_Tables_number 166
_symmetry_space_group_name_Hall '-R 3 2"'
loop_
_atom_site_label
_atom_site_type_symbol
_atom_site_fract_x
_atom_site_fract_y
_atom_site_fract_z
Ce1 Ce 0.0000 0.0000 0.0000
Pm1 Pm 0.0000 0.0000 0.1996
Pm2 Pm 0.0000 0.0000 0.3997
Se1 Se 0.0000 0.0000 0.1002
Se2 Se 0.0000 0.0000 0.2998
Se3 Se 0.0000 0.0000 0.5000
```

Principal peaks in the range 10° ≤ 2θ ≤ 90°, most intense first:
30.11 deg, 2.968 Å, I 100, hkl 1 0 10; 43.10 deg, 2.099 Å, I 75, hkl 1 1 0; 53.51 deg, 1.712 Å, I 20, hkl 0 2 10; 79.08 deg, 1.211 Å, I 19, hkl 3 0 0; 70.94 deg, 1.328 Å, I 17, hkl 1 1 30; 71.08 deg, 1.326 Å, I 17, hkl 2 1 10
'''


Logotype or Word mark uses typography to create a logo. This common for television shows and movies. These are crucial to the entertainment industry because they tell you what kind of show your are watching, the tone, and what it is about. Comedies or cartoons like Seinfeld, Friends, How I Met Your Mother, Family Guy or The Simpsons use a lot of bubbly or colorful titles or play with font size to convey the goofy or comical nature of the show while dramas or sci-fi will use blocky or more stylized letters that suggest blood or magic or something.  

Combination Marks

Combinations are exactly that.  A combination of both abstract and font. Or the iconic logo and the typographical logo. Nike logo can often inclue the Swoosh and the word Nike. 
Combination Marks are common in Television Stations like NBC, CBS or ABC

 and Motion Picture companies like Warner Bros., 20th Century Fox, and Universal. 

In our logo/letterhead project a combination is ideal because you can represent the brand with a recognizable graphic logo and  
also with an equally recognizable font based logo. 


Thursday, February 7, 2013

Why are logos important? Blog Post 1

Why are logos important?

This is a question that I asked myself today as I was driving toward my Typography class or Graphic Design.
What's today? Thurday. Typography. Doesn't really matter. I was asking myself "Self?" What. Why are logos important? Why do they even matter. And why do I have write a stupid blog about it(actually I will probably end up having a lot of fun with this).  I am going to attempt to answer these questions. The first answer I had was "I don't know". Which is an honest answer I think. But as one of my mentors once said, "If you don't know, find out for yourself."

So I went onto the internet and found a website called It can be found here: looking for some samples of logos to blog about or to inspire me to create even awesomer ideas for current or upcoming CGR projects. There is also an Meet the Design Team section which is very helpful in finding out what type of people become graphic design majors and various backgrounds.

After looking through some of the designs for logos and letter heads, I found a list of blogs from designers that work for

I found a list of what they called "The World's Best Logos". Which includes
links to blogs about why they are effective and good examples of why logos are important. Cono Fusco, a member of the LogoMojo design team writes, "A business logo design represents a symbol of identity, a means by which customers can instantly recognize your product or service. A logo design is moe memorable than their verbal counterparts."

Logos are important for bringing people in and creating trust in the product. The Golden Arches of MacDonalds tells customers that they can find the great tasting(or obesity inducting) foods they grew up with(or threw up after a night of drinking- perhaps). The iconic logo also helped create an international chain of restaurants for world travelers who find themselves in France or Japan or somewhere and find a little piece of home in a strange place.

That's all I have to say about that.

No. 1
Starting from a crystal structure in Alexandria, relaxed with PBE, the powder X-ray diffraction pattern of La4Tb2Pr5 was calculated for Cu Ka.
Neutral-atom scattering factors, no anomalous dispersion.

Principal peaks in the range 10 to 90 degrees two-theta, by intensity:
2θ = 29.98°, intensity 100; 2θ = 30.96°, intensity 59; 2θ = 30.75°, intensity 58; 2θ = 31.93°, intensity 41; 2θ = 29.03°, intensity 32; 2θ = 29.41°, intensity 26; 2θ = 60.27°, intensity 24; 2θ = 59.70°, intensity 19; 2θ = 32.98°, intensity 19; 2θ = 46.01°, intensity 18; 2θ = 36.23°, intensity 18; 2θ = 60.16°, intensity 17

Atomic structure:
a = 9.2619 Å, b = 9.2619 Å, c = 12.0054 Å
α = 94.20°, β = 94.20°, γ = 22.57°
Fractional positions:
La: 0.0401 0.0401 0.2636
La: 0.3583 0.3583 0.2040
La: 0.6417 0.6417 0.7960
La: 0.9599 0.9599 0.7364
Tb: 0.2832 0.2832 0.6369
Tb: 0.7168 0.7168 0.3631
Pr: 0.0962 0.0962 0.5396
Pr: 0.1788 0.1788 0.0744
Pr: 0.5000 0.5000 0.0000
Pr: 0.8212 0.8212 0.9256
Pr: 0.9038 0.9038 0.4604

***

No. 2
Starting from a crystal structure in Alexandria, relaxed with PBE, the powder X-ray diffraction pattern of Tm3Al2Cu6 was calculated for Cu Ka.
Neutral-atom scattering factors, no anomalous dispersion.

Principal peaks in the range 10 to 90 degrees two-theta, by intensity:
2θ = 42.31°, intensity 100; 2θ = 37.11°, intensity 40; 2θ = 31.21°, intensity 35; 2θ = 34.27°, intensity 35; 2θ = 39.78°, intensity 25; 2θ = 68.69°, intensity 23; 2θ = 63.25°, intensity 23; 2θ = 27.84°, intensity 19; 2θ = 77.37°, intensity 18; 2θ = 24.05°, intensity 17; 2θ = 55.53°, intensity 14; 2θ = 59.47°, intensity 12

Atomic structure:
a = 7.8493 Å, b = 7.8493 Å, c = 7.8493 Å
α = 109.47°, β = 109.47°, γ = 109.47°
Fractional positions:
Tm: 0.0000 0.2775 0.2775
Tm: 0.0000 0.7225 0.7225
Tm: 0.2775 0.0000 0.2775
Tm: 0.2775 0.2775 0.0000
Tm: 0.7225 0.0000 0.7225
Tm: 0.7225 0.7225 0.0000
Al: 0.0000 0.0000 0.5000
Al: 0.0000 0.5000 0.0000
Al: 0.5000 0.0000 0.0000
Al: 0.5000 0.5000 0.5000
Cu: 0.0000 0.3347 0.6653
Cu: 0.0000 0.6653 0.3347
Cu: 0.3305 0.6653 0.6653
Cu: 0.3347 0.0000 0.6653
Cu: 0.3347 0.3347 0.6695
Cu: 0.3347 0.6653 0.0000
Cu: 0.3347 0.6695 0.3347
Cu: 0.6653 0.0000 0.3347
Cu: 0.6653 0.3305 0.6653
Cu: 0.6653 0.3347 0.0000
Cu: 0.6653 0.6653 0.3305
Cu: 0.6695 0.3347 0.3347

***

No. 3
Starting from a crystal structure in Alexandria, relaxed with PBE, the powder X-ray diffraction pattern of NaP2OsRh was calculated for Cu Ka.
Neutral-atom scattering factors, no anomalous dispersion.

Principal peaks in the range 10 to 90 degrees two-theta, by intensity:
2θ = 17.53°, intensity 100; 2θ = 36.21°, intensity 87; 2θ = 48.13°, intensity 42; 2θ = 45.05°, intensity 34; 2θ = 48.70°, intensity 29; 2θ = 31.43°, intensity 27; 2θ = 77.30°, intensity 19; 2θ = 64.20°, intensity 18; 2θ = 23.79°, intensity 17; 2θ = 85.38°, intensity 17; 2θ = 35.49°, intensity 15; 2θ = 58.62°, intensity 15

Atomic structure:
a = 5.8048 Å, b = 5.8048 Å, c = 5.8048 Å
α = 139.43°, β = 139.43°, γ = 58.72°

Wednesday, February 6, 2013

A Long Time Ago - Blog Post 4

A long time ago in a galaxy far, far away...

As far back as I can remember there is one logo that has been a constant in my life. The Star Wars movie logo. It has appeared in a variety of various variations. I think my favorite is the one above with the black background and yellow outline letters that have that unique curvature and extended bits for the "S"es and "R". Fans of all ages recognize the Star Wars logo that begins every Episode with the first blaring note of the Main Title music by John Williams. It starts large and in your face and recedes as if beckoning "come with me" into this strange galaxy of adventure, excitement, and other things that Jedi are not supposed to crave.

Monday, February 4, 2013

Osaka Tourism link

Here is a link to the Osaka tourism website which will be used for projects all semester.

For our first project we will be designing a logo and letterhead.

Welcome to my Blog

This is my Design blog. I created this for my computer Graphics class. I am determined to update this everyday with design related things. It is going to be Awesome because I want an A. I'm not sure exactly what to call my blog so I'm going with BLH Design or should it be Designs? BLH being my initials. So original.

B- brilliant
L- egen- wait for it - dary  (I've been on a How I Met Your Mother marathon)
H- hip okay I need to work on what the H stands for.

that's all I have to say for now.